I'm no computer buff so when things go haywire my son takes over remotely via Teamviewer to put them right. That said, my problem today was that Teamviewer decided I no longer have an account. So after some investigation my son decided to try an alternative and came up with a similar site called AnyDesk. It 's easier to use than Teamviewer although it doesn't respond as quickly. I'm now running both as a belt and braces situation. Has anyone else used it?
No but i read its avisable not to use or download this app as its easy for scammers to fraud people but they might have improved it making it more secure
Not something we have used, but as @Janet mahay mentions, its not necessarily a bad program in itself, but because its easy to install and use, its equally easy for scammers to con folk into installing it and gain access their details / pc. It sounds like you have overcome Team Viewers account problem so we would stick with that as it seems a much safer option. The bottom line, never trust or engage with incoming calls from your banks or pc/internet providers etc. If in any doubt call your real bank etc back on a different phone line to ask if it was really them. We had an unexpected call from our bank, (actually genuine) , but when she asked to take us though security we refused, in the end she actually thanked us, saying she wished other folk would be as cautious, we called the banks helpline a little later to check the call was valid, which it was.
Just wondering Sheal, why and how often do things go haywire. I think those of us who are not too computer savvy do have the occasional problems but its part of finding out what makes it all tick. And when you manage to sort out the problem you dont half feel good.
Too often @pete. Anything that goes wrong with my computer is never straight forward. I use Edge because Google, Firefox etc. just won't function properly on my laptop, even Edge gives me problems now and again. My son knows that when I ask him to sort out a problem for me it will be complicated and more often than not something unusual. If one of those horrible grey boxes appears on my screen, I don't understand what it's saying, let alone do something about it. I don't like computers and hate technology in general, probably because I have a brain that doesn't understand how it functions. Give me something mechanical - that's something I do understand. To be honest I don't, because I just get angry during the process and just want to drop the machine in the dustbin. You may well ask why I use a computer? Primarily for every day contact with my three children who, as you know, live far and wide. Being a member of GC is a bonus but I have various glitches with this site too, which I, my son and GC admin can't sort out.
Sounds like you must be giving off static electricity or some such thing that affects it. Tell me, do lights tend to dim when you walk into a room.
Well we used to use Firefox but as @Fat Controller recently mentioned it seems to be causing various problems that we also started to encounter. We have been trying out the Brave browser which so far seems to work ok. Secure, Fast & Private Web Browser with Adblocker | Brave Browser A very simple download that will import/copy your old browsers bookmarks for you, and you can still use Edge or any other browser at the same time. Out of interest what is the make and model number ( usually on the bottom ) of your laptop and what version of Windows are you using . eg W7 or W10 . While we are relatively ok with the PC, the latest Android phones drive us to distraction, they almost seem to do what they want , not us, - so you are not alone ! Don't forget its just a machine to serve us, not the other way around.
........
No. 1
{
  "formula": "C6H10",
  "method": "ωB97M-V/def2-TZVPD",
  "symbols": ["C", "C", "C", "C", "C", "C", "H", "H", "H", "H", "H", "H", "H", "H", "H", "H"],
  "xyz": [[-1.90120, -0.99537, 1.00963], [-1.71474, -0.07904, 0.10134], [-1.24347, 0.65419, -0.86749], [0.16479, 0.28701, -1.33512], [1.10291, -0.33268, -0.28488], [1.38784, 0.55551, 0.92804], [-2.21226, -1.98903, 0.70095], [-1.70208, -0.80884, 2.06028], [-1.84346, 1.43306, -1.34649], [0.66757, 1.17102, -1.74100], [0.08710, -0.43823, -2.15928], [2.03791, -0.50590, -0.82868], [0.75934, -1.32223, 0.04682], [0.59764, 0.50989, 1.68508], [2.32475, 0.25897, 1.41243], [1.48736, 1.60167, 0.61837]],
  "lowdin_charge": [-0.0034, -0.1367, -0.1028, -0.2141, -0.2768, -0.1096, 0.0629, 0.0594, 0.1031, 0.1043, 0.1093, 0.1005, 0.1003, 0.0602, 0.0685, 0.0749],
  "e_lumo_ev": 1.1,
  "de_lowest_kcal_mol": 36.4,
  "total_charge": 0,
  "smiles": "C=C=CCCC"
}

No. 2
{
  "formula": "C3H7BNO3",
  "method": "ωB97M-V/def2-TZVPD",
  "symbols": ["C", "B", "O", "N", "C", "C", "O", "O", "H", "H", "H", "H", "H", "H", "H"],
  "xyz": [[-1.61508, 0.10524, -0.25159], [-0.08808, 0.44764, -0.03275], [0.44080, 1.60865, -0.56734], [0.68057, -0.47394, 0.66290], [2.17670, -0.35711, 1.00306], [2.74134, -1.82076, 1.40872], [1.86460, -2.68407, 1.40252], [3.93162, -1.77805, 1.77047], [-2.09075, 0.46112, -1.16756], [-2.26315, 0.62380, 0.49145], [-1.81991, -0.94349, -0.08422], [-0.13116, 2.38609, -0.71916], [0.41247, -1.34656, 1.04234], [2.66778, 0.02231, 0.01851], [2.51437, 0.30498, 1.72221]],
  "lowdin_charge": [-0.0325, -0.7048, 0.0941, 0.1228, -0.0781, -0.7367, -0.0634, -0.0873, 0.0402, 0.0542, 0.0437, 0.0936, 0.0715, 0.1244, 0.0584],
  "e_lumo_ev": 3.0,
  "de_lowest_kcal_mol": 0.0,
  "total_charge": -1,
  "smiles": "CB(O)NCC(=O)[O-]"
}

No. 3
{
  "formula": "C3H5N5",
  "method": "ωB97M-V/def2-TZVPD",
  "symbols": ["H", "N", "C", "N", "C", "N", "N", "C", "N", "H", "H", "H", "H"],
  "xyz": [[-0.31877, -0.47296, 2.78767], [-0.01627, -1.06459, 2.11614], [-0.05984, -0.43573, 1.06616], [-0.26828, 0.87022, 0.69769], [-0.20950, 0.98466, -0.68778], [-0.38175, 1.96856, -1.49839], [0.01030, -0.21714, -1.16986], [0.44226, -1.06112, -0.17135], [1.06055, -2.19581, -0.13594], [1.53141, -2.37620, -1.05094], [-0.50977, 1.52331, 1.55316], [-0.98935, 2.83676, -1.15810], [-0.29100, -0.35997, -2.34844]],
  "lowdin_charge": [0.0107, 0.2074, -0.4290, 0.1469, -0.5822, 0.0844, 0.1019, -0.3693, 0.1581, 0.0640, 0.2202, 0.0934, 0.2935],
  "e_lumo_ev": 0.5,
  "de_lowest_kcal_mol": 60.9,
  "total_charge": 0,
  "smiles": "[H]/N=C1\\NC(=N)N\\C1=N/[H]"
}

No. 4
{
  "formula": "CH5BrN2",
  "method": "ωB97M-V/def2-TZVPD",
  "symbols": ["C", "N", "N", "Br", "H", "H", "H", "H", "H"],
  "xyz": [[-0.25044, -1.16317, 0.15234], [0.41874, 1.49703, 0.11189], [0.96804, 0.49888, 0.77583], [2.71024, -0.13125, 0.05162], [-1.22788, -0.64166, 0.17264], [0.33289, -1.24274, -0.65316], [-0.21560, -1.96983, 0.87554], [0.60120, 2.38882, 0.38267], [0.08800, 1.42596, -0.82996]],
........
_The entry goes on_
Sorry @pete and @ricky101 I've been away from GC for most of the week and only just seen this. Yep, that's what I think, I often get static shocks. Not that I've noticed. My laptop has never liked Firefox and it's about six years old now. The make is HP and there's no chance of giving you the model number until I find my magnifying glass....the print is too small. I'm using W10. I couldn't tell you what an Android phone looks like. I have an old phone that's rarely used. Hmmm....no comment.